Tourism for pleasure [Archives:2007/1064/Reportage]

July 2 2007
Nothing more exciting than a four-wheel drive adventure in the unpaved roads of Socatra.
Nothing more exciting than a four-wheel drive adventure in the unpaved roads of Socatra.
Faud Mussa'ad
“Yemen has enormous tourist potential and attractions represented in its unique natural resorts, long beaches and amazing islands that are ideal for pleasure tourism,” says Abdu Assenwi, deputy assistant of Yemen's General Tourism Development Authority.

Pleasure tourism refers to sightseeing and activities such as fishing, diving, skiing and camping. Once an ancient and well-known type of tourism, it now is widespread all over the world, comprising 80 percent of world tourism.

Countries along the Mediterranean Sea basin are the best attractions for such tourism due to their rich tourist resources including warm climates, eye-catching beaches and many other assets.

Commenting on this issue, Assenwi added that his authority is working day and night to improve and give Yemen's islands a facelift through conducting field visits accompanied by technical teams to analyze the needs of these marvelous islands.

“Furthermore, the authority has drafted numerous coastal investment projects, which were presented and discussed during the Investment Opportunities Conference,” Assenwi noted.

Yemen undeniably has remarkable tourist resources and historical sites qualifying it to take the lead in terms of tourist attractions in the entire region, if not internationally. However, according to Assenwi, Yemeni tourism suffers due to negligence and lack of solid infrastructure, both essential requirements to meet tourists' needs and pave the way for tourism investment.

Shortage of such basic tourist requirements not only results in giving a bad impression and dissatisfaction to tourists, it also reflects negatively on the general tourism situation in Yemen.

According to a study of the entire Arab region, the key challenges hindering the revival of tourism investment can be summarized as:

1- An apparent decline in institutional tourism planning as an important source of local and regional income, as well as lack of a tourism organizational structure that can address current challenges and benefit from available opportunities.

2- Shortage of supportive financial factors such as bank loans to investors and high taxes imposed on tourism facilities.

3- A complicated process of obtaining entrance visas and high fees enforced to visit some tourist attractions.

4- Insufficient airline destinations and lavish entrance taxes. Because current Arab and international flight destinations are inadequate, new direct destinations are required to connect and facilitate tourist transport at competitive prices.

5- Poor tourism infrastructure.

6- Lack of tourism planning and uncertain vision withholds investment activity.

Other obstacles also may directly influence tourism, including economic and political instability, bureaucratic procedures of obtaining a tourism facility license, unstable national currency, lack of qualified staff and outdated labor laws that don't match modern investment concepts.

Assenwi said his authority has communicated continuously with concerned ministries, particularly the Ministry of Planning, explaining and listing the tourist sector's needs and priorities, including roads, water, electricity, telecommunications and other infrastructure components crucial for investment and attracting foreign tourists.

Assenwi further believes that establishing tourism investment banks to provide loans with minimal interest to investors will revitalize Yemen's tourism sector and create more tourism investment opportunities. Due to the high cost of investment projects, such banks will contribute significantly to Yemen's tourism evolvement.

Consequently, the government will be fully responsible to focus more on the tourism industry in line with the sector's significance as one of the world's essential economic sources. While there are numerous examples of countries that could successfully employ tourism and utilize its potential economically, they lack the outstanding tourism prospects that Yemen enjoys.

Regardless of problems encountered, the future of Yemeni tourism is very promising. Tourism investment and an increasing number of tourists visiting the country is an indication of the bright future ahead for tourism in Yemen.

• Between two parts of the text: crystal structures:
'''
1) Below is a relaxed V4Ni2N crystal, with properties calculated at the GGA-PBE level.

## Properties
Its theoretical density is 6961 kg/m3.

Cell lengths 7.6759, 7.6759, 7.6759 Å; angles 60.00, 60.00, 60.00 degrees
Closest atoms and distances in Å follow each position.
Positions (direct):
V: 0.0000 0.0000 0.0000  6 Ni 2.34
V: 0.0000 0.0000 0.5000  6 Ni 2.34
V: 0.0000 0.5000 0.0000  6 Ni 2.34
V: 0.1946 0.1946 0.5554  2 N 2.01
V: 0.1946 0.5554 0.1946  2 N 2.01
V: 0.1946 0.5554 0.5554  2 N 2.01
V: 0.4446 0.4446 0.8054  2 N 2.01
V: 0.4446 0.8054 0.4446  2 N 2.01
V: 0.4446 0.8054 0.8054  2 N 2.01
V: 0.5000 0.0000 0.0000  6 Ni 2.34
V: 0.5554 0.1946 0.1946  2 N 2.01
V: 0.5554 0.1946 0.5554  2 N 2.01
V: 0.5554 0.5554 0.1946  2 N 2.01
V: 0.8054 0.4446 0.4446  2 N 2.01
V: 0.8054 0.4446 0.8054  2 N 2.01
V: 0.8054 0.8054 0.4446  2 N 2.01
Ni: 0.1206 0.7931 0.7931  6 V 2.34-2.58, 3 Ni 2.51
Ni: 0.2069 0.2069 0.2069  6 V 2.34-2.58, 3 Ni 2.51
Ni: 0.2069 0.2069 0.8794  6 V 2.34-2.58, 3 Ni 2.51
Ni: 0.2069 0.8794 0.2069  6 V 2.34-2.58, 3 Ni 2.51
Ni: 0.7931 0.1206 0.7931  6 V 2.34-2.58, 3 Ni 2.51
Ni: 0.7931 0.7931 0.1206  6 V 2.34-2.58, 3 Ni 2.51
Ni: 0.7931 0.7931 0.7931  6 V 2.34-2.58, 3 Ni 2.51
Ni: 0.8794 0.2069 0.2069  6 V 2.34-2.58, 3 Ni 2.51
N: 0.0000 0.5000 0.5000  6 V 2.01
N: 0.5000 0.0000 0.5000  6 V 2.01
N: 0.5000 0.5000 0.0000  6 V 2.01
N: 0.5000 0.5000 0.5000  6 V 2.01

---

2) Below is a relaxed V4Ni2N crystal, with properties calculated at the GGA-PBE level.

## Properties
Its theoretical density is 6386 kg/m3.

Cell lengths 3.8437, 3.8437, 11.7986 Å; angles 90.00, 90.00, 90.00 degrees
Closest atoms and distances in Å follow each position.
Positions (direct):
V: 0.0000 0.0000 0.1730  1 N 2.04, 1 Ni 2.27
V: 0.0000 0.0000 0.8270  1 N 2.04, 1 Ni 2.27
V: 0.0000 0.5000 0.0000  2 N 1.92
V: 0.0000 0.5000 0.5000  2 N 1.92
V: 0.5000 0.0000 0.0000  2 N 1.92
V: 0.5000 0.0000 0.5000  2 N 1.92
V: 0.5000 0.5000 0.3270  1 N 2.04, 1 Ni 2.27
V: 0.5000 0.5000 0.6730  1 N 2.04, 1 Ni 2.27
Ni: 0.0000 0.0000 0.3652  5 V 2.27-2.49
Ni: 0.0000 0.0000 0.6348  5 V 2.27-2.49
Ni: 0.5000 0.5000 0.1348  5 V 2.27-2.49
Ni: 0.5000 0.5000 0.8652  5 V 2.27-2.49
N: 0.0000 0.0000 0.0000  6 V 1.92-2.04
N: 0.5000 0.5000 0.5000  6 V 1.92-2.04

---

Result of the stability comparison: 1) is the most stable of them.

---

1) Below is a relaxed NiWN crystal, with properties calculated at the GGA-PBE level.

## Properties
Its theoretical density is 12271 kg/m3.

Cell lengths 2.7500, 2.7500, 9.1809 Å; angles 90.00, 90.00, 90.00 degrees
Closest atoms and distances in Å follow each position.
Positions (direct):
Ni: 0.0000 0.0000 0.0000  5 N 2.65-2.74, 5 W 2.68-2.74, 4 Ni 2.75
Ni: 0.5000 0.5000 0.5000  5 N 2.65-2.74, 5 W 2.68-2.74, 4 Ni 2.75
W: 0.0000 0.0000 0.2985  4 N 2.10
W: 0.5000 0.5000 0.7985  4 N 2.10
N: 0.0000 0.0000 0.7109  4 W 2.10
N: 0.5000 0.5000 0.2109  4 W 2.10

---

2) Below is a relaxed NiWN crystal, with properties calculated at the GGA-PBE level.

## Properties
'''
• Here the text continues:

Despite the significance of this type of tourism to the national economy, some undesirable outcomes accompany it, such as the so-called “tourist marriage” phenomenon, which recently has spread and struck many beautiful Yemeni areas. Such marriages have led to many social tragedies and left numerous victims in a society where morals and religious values are quite dominant.